File:
- - -
This entry pairs a crystal structure of Be3Fe4Si3TeO12 with its calculated powder diffractogram. Radiation: Cu Kα, 1.54184 Å. Structure: a PBE+U-relaxed structure.
Neutral-atom scattering factors, no anomalous dispersion.

Peak list (8 most intense, 10° ≤ 2θ ≤ 80°, by angle)
(1 1 0), 14.83 deg, I 16; (2 1 1), 25.84 deg, I 100; (2 2 0), 29.93 deg, I 22; (3 2 1), 39.94 deg, I 41; (3 3 0), 45.57 deg, I 57; (5 1 0), 55.48 deg, I 11; (6 0 0), 66.42 deg, I 12; (5 3 2), 68.49 deg, I 23

Crystal structure
```
data_Be3Fe4Si3TeO12
_symmetry_space_group_name_H-M 'P -4 3 n'
_symmetry_Int_Tables_number 218
_symmetry_space_group_name_Hall 'P -4n 2 3'
_cell_length_a 8.445
_cell_length_b 8.445
_cell_length_c 8.445
_cell_angle_alpha 90.00
_cell_angle_beta 90.00
_cell_angle_gamma 90.00
loop_
_atom_site_label
_atom_site_fract_x
_atom_site_fract_y
_atom_site_fract_z
Be1 0.000 0.250 0.500
Fe1 0.185 0.185 0.185
Si1 0.000 0.500 0.250
Te1 0.000 0.000 0.000
O1 0.077 0.356 0.641
```
- - -
Activity:
Could you restate everything further up word for word?
Completed:
This entry pairs a crystal structure of Be3Fe4Si3TeO12 with its calculated powder diffractogram. Radiation: Cu Kα, 1.54184 Å. Structure: a PBE+U-relaxed structure.
Neutral-atom scattering factors, no anomalous dispersion.

Peak list (8 most intense, 10° ≤ 2θ ≤ 80°, by angle)
(1 1 0), 14.83 deg, I 16; (2 1 1), 25.84 deg, I 100; (2 2 0), 29.93 deg, I 22; (3 2 1), 39.94 deg, I 41; (3 3 0), 45.57 deg, I 57; (5 1 0), 55.48 deg, I 11; (6 0 0), 66.42 deg, I 12; (5 3 2), 68.49 deg, I 23

Crystal structure
```
data_Be3Fe4Si3TeO12
_symmetry_space_group_name_H-M 'P -4 3 n'
_symmetry_Int_Tables_number 218
_symmetry_space_group_name_Hall 'P -4n 2 3'
_cell_length_a 8.445
_cell_length_b 8.445
_cell_length_c 8.445
_cell_angle_alpha 90.00
_cell_angle_beta 90.00
_cell_angle_gamma 90.00
loop_
_atom_site_label
_atom_site_fract_x
_atom_site_fract_y
_atom_site_fract_z
Be1 0.000 0.250 0.500
Fe1 0.185 0.185 0.185
Si1 0.000 0.500 0.250
Te1 0.000 0.000 0.000
O1 0.077 0.356 0.641
```